Activity.
Next, search the lines further below for the word "arrangement" and copy each line that has it.
File.
<<<
Arrangement w

{"formula": "C3H3NS2", "method": "ωB97M-V/def2-TZVPD", "elements": ["C", "C", "C", "N", "S", "S", "H", "H", "H"], "coordinates": [[-0.81797, -0.03229, 1.59941], [2.34661, -0.29727, -0.36282], [-1.16059, 0.26748, -0.76335], [-1.15825, 0.15357, 0.46977], [2.57459, 0.91595, -1.28090], [2.08912, -1.44698, 0.63483], [-1.54257, -0.25426, 2.41569], [-1.20359, -0.51834, -1.48788], [-1.12737, 1.21214, -1.22474]], "e_lumo_ev": 0.161, "e_homo_ev": -8.0, "multiplicity": 1}

Arrangement x

{"formula": "C3H3NS2", "method": "ωB97M-V/def2-TZVPD", "elements": ["C", "S", "C", "S", "C", "N", "H", "H", "H"], "coordinates": [[-0.00260, 0.26422, -0.20072], [-1.60710, 1.23254, -0.22285], [-2.67519, -0.04840, -0.03758], [-4.57089, 0.42183, -0.07567], [-2.63732, -1.41453, 0.12773], [-2.59235, -2.55690, 0.26812], [-0.11159, -0.25342, -1.08883], [0.13218, -0.22319, 0.69412], [0.83710, 0.82993, -0.20705]], "e_lumo_ev": [-1.962, -2.100], "e_homo_ev": [-9.2, -8.9], "multiplicity": 1}

In terms of stability, arrangement x leads; the second structure lies 4.2 kcal/mol higher.

Arrangement w

{"formula": "C3H3NS2", "method": "ωB97M-V/def2-TZVPD", "elements": ["C", "S", "C", "S", "C", "N", "H", "H", "H"], "coordinates": [[1.50301, -0.39922, 0.04954], [-0.08489, -1.40078, -0.16663], [-1.17585, -0.15345, 0.04759], [-3.29640, -0.66315, 0.02099], [-1.00537, 1.21368, -0.11868], [-1.06525, 2.34993, -0.08198], [2.11945, -0.84600, -0.74432], [1.81265, -0.67991, 1.04369], [1.19264, 0.57891, -0.05019]], "e_lumo_ev": [-1.710, -2.404], "e_homo_ev": [-9.5, -8.5], "multiplicity": 1}

Arrangement x

{"formula": "C3H3NS2", "method": "ωB97M-V/def2-TZVPD", "elements": ["C", "C", "N", "C", "S", "S", "H", "H", "H"], "coordinates": [[-0.85450, 2.15622, 0.07374], [-0.21215, 1.06669, -0.01682], [0.45864, 0.08146, -0.30418], [0.63109, -1.21099, -0.32867], [-0.34082, -2.12036, -1.31737], [1.74648, -2.00225, 0.70736], [-1.70419, 2.59277, -0.49001], [-0.97167, 2.54351, 1.17179], [1.24711, -3.10704, 0.50417]], "e_lumo_ev": -0.451, "e_homo_ev": -8.6, "multiplicity": 1}

In terms of stability, arrangement x leads; the second structure lies 25.4 kcal/mol higher.

Arrangement w

{"formula": "C4H9N2O2", "method": "ωB97M-V/def2-TZVPD", "elements": ["C", "C", "C", "O", "N", "C", "N", "O", "H", "H", "H", "H", "H", "H", "H", "H", "H"], "coordinates": [[0.36171, 0.20601, 0.58963], [0.81897, 0.63935, -0.80513], [2.24248, -0.04694, -1.16809], [3.02189, 0.68017, -1.94674], [-0.60263, -0.89392, 0.59472], [-1.96740, -0.74974, 0.57784], [-2.50132, 0.29239, 1.31721], [-2.71217, -1.57139, 0.06804], [1.22408, -0.17293, 1.13538], [-0.11573, 1.08660, 1.00837], [0.06790, 0.39901, -1.55392], [1.19663, 1.65532, -0.86914], [2.72067, -0.28682, -0.19198], [2.07075, -1.01940, -1.67020], [-0.28989, -1.64445, -0.01125], [-3.46784, 0.23346, 1.60053], [-2.06812, 1.19327, 1.32472]], "e_lumo_ev": [0.773, -1.847], "e_homo_ev": [-9.7, -9.7], "multiplicity": 2}

Arrangement x

{"formula": "C4H9N2O2", "method": "ωB97M-V/def2-TZVPD", "elements": ["O", "C", "O", "C", "C", "C", "N", "N", "H", "H", "H", "H", "H", "H", "H", "H", "H"], "coordinates": [[-1.50579, -0.19337, -2.46943], [-1.26339, 0.77096, -1.73220], [-1.24831, 1.97030, -1.94327], [-0.73930, 0.36220, -0.27410], [0.47398, -0.51456, -0.39378], [1.20014, -0.70946, 0.94813], [2.07848, 0.42233, 1.31168], [-1.82052, -0.24090, 0.46046], [-0.59060, 1.30532, 0.24125], [1.12851, -0.00054, -1.09546], [0.24257, -1.49906, -0.80917], [0.50421, -0.79955, 1.76489], [1.87127, -1.53388, 0.79726], [1.56873, 1.09214, 1.86164], [2.41226, 0.89166, 0.46510], [-2.72898, -0.17238, 0.03910], [-1.58328, -1.15119, 0.82789]], "e_lumo_ev": [0.784, -3.366], "e_homo_ev": [-9.7, -9.7], "multiplicity": 2}

In terms of stability, arrangement w leads; the second structure lies 5.5 kcal/mol higher.

Arrangement w
>>>
Here it is.
In terms of stability, arrangement x leads; the second structure lies 4.2 kcal/mol higher.
In terms of stability, arrangement x leads; the second structure lies 25.4 kcal/mol higher.
In terms of stability, arrangement w leads; the second structure lies 5.5 kcal/mol higher.